The following is a guest post by Endre R., a freelance writer and occasional guest blogger on many topics related to advertising and marketing.
Mothers know it: If you want your grown-up kids to devote some attention to you, you have to get them on their cell phones when they least expect it. Most certainly, you will not get the full-fledged conversation you aimed for, but at least you reminded them of your existence. In this case, parental logic is not too far away from entrepreneurial thought. Naturally, an unexpected call from a perfect stranger advertising for a product is a nuisance. Luckily, mobile devices allow for much less obtrusive ways of connecting with potential clients. Implementing the use of SMS platforms and text messaging methods into your communication strategy can vitally improve your outreach to customers. Here are five suggestions of how to incorporate this technique into your business:
Instant and immediate communication with your clients is a vital element of success in business. Maintaining contact with all of your customers, keeping them up-to-date regarding new products and alerts, and sharing information of interest with them will often seem like a big challenge if you take into consideration the annoying abundance of newsletters and spam mails nearly everyone in possession of an email account has to deal with these days. SMS messaging is an alternative worth keeping in mind when it comes to making sure that your updates and alerts reach your customer and have a few moments of his or her attention.
Mobile Marketing
With today’s media and IT landscape becoming ever more diverse and unpredictable, it can be a rather tough task to predict whether the internet, TV, print, or radio is the right marketing medium to communicate your message and your product to your target demographic. Again, mobile messaging provides an alternative solution to conventional marketing approaches. Efficient in cost, international in reach, and immediate in customer-connection, SMS marketing can prove to be just the right tool for your business. At present, there is no other marketing technique that gets your message as quickly as close to your potential client.
Field Communication
Organizing multitudes of people who are operating simultaneously and independently in different locations is a demanding job. A frictionless, structured process in everyday dealings needs to be ensured, while at the same time the capacity of sudden spontaneous action must be retained. Successful coordination of a large body of employees crucially rests on the right communication methods. Using bulk SMS, just one click will bring all of your co-workers into one line of action. While manual calls decrease your team’s reaction time, SMS messaging may be the right mode for you to propel your efficiency to a new stage.
Molecular data that have nothing to do with the entry:
~~~
Density functional theory data (the ωB97M-V functional and the def2-TZVPD basis) for the molecule C2H4N2O.

Output
Kohn-Sham gap (spin up / spin down)	8.10 / 8.26	eV
charge	0
relative energy (zero: lowest compared OMol25 entry of this formula, charge and spin)	562.1	kJ/mol
HOMO level (spin up / spin down)	-9.6 / -9.6	eV
total energy	-263.14916	Eh

Last column: Mulliken charge in e.
Element x y z (Å)
N: -1.045 -0.360 0.832  -0.33
C: -0.446 0.516 -0.081  -0.22
N: 1.005 0.654 -0.284  -0.46
C: 0.491 -0.582 -0.756  0.22
O: 0.381 -1.501 0.168  -0.42
H: -1.296 0.189 1.683  0.21
H: -1.006 1.415 -0.342  0.37
H: 1.488 0.472 0.598  0.27
H: 0.429 -0.802 -1.819  0.37

* * * * *

Below is a 2-piece molecular cluster, C6H15NO overall in a non-equilibrium geometry, with properties calculated with the ωB97M-V functional and the def2-TZVPD basis.

```
! RIJCOSX wB97M-V def2-TZVPD def2/J DEFGRID3
* xyz 0 1
C 1.686 -0.236 0.610
C -1.942 -1.108 -1.177
C 2.131 -1.513 -0.070
C 2.523 0.964 0.211
O -1.090 -0.009 -0.931
H 1.706 -0.368 1.693
H -1.419 -1.736 -1.897
H -2.119 -1.707 -0.278
H -2.905 -0.781 -1.578
H 2.137 1.870 0.673
H 2.149 -1.399 -1.153
H 1.484 -2.351 0.183
H 3.147 -1.770 0.235
H 2.509 1.103 -0.869
H 3.562 0.822 0.515
C -2.626 0.734 0.885
C -1.394 0.943 0.046
N -1.030 2.151 -0.151
H -0.193 2.225 -0.725
H 0.501 0.072 0.493
H -3.517 0.637 0.267
H -2.520 -0.153 1.508
H -2.780 1.609 1.510
*
```

## Properties
SMILES string: [H]/N=C(/C)OC.CCC
highest occupied orbital energy: -9.60 eV
gap between HOMO and LUMO: 0.383 hartree
E_tot: -10001.440 eV

Partial charges, Mulliken, in e: 0.94, -0.78, -1.32, -1.44, -0.32, 0.33, 0.25, 0.33, 0.34, 0.36, 0.30, 0.33, 0.40, 0.32, 0.40, -1.29, 0.83, -0.70, 0.28, -0.54, 0.30, 0.32, 0.36

Below is C26H41HgNO34PS6 as an isolated structure in a non-equilibrium geometry, with properties calculated with the ωB97M-V functional and the def2-TZVPD basis.

```
! RIJCOSX wB97M-V def2-TZVPD def2/J DEFGRID3
* xyz -1 1
Hg 0.752 2.364 1.697
P -0.051 0.481 0.302
O -1.087 1.377 1.003
O 1.014 0.244 1.459
O 0.773 1.676 -0.343
O -0.508 -0.816 -0.506
C 1.164 -2.988 2.105
C 1.499 -2.994 0.610
O 2.622 -3.797 0.281
S 3.442 -4.106 1.691
O 4.203 -2.920 2.090
O 4.093 -5.422 1.736
O 2.003 -4.116 2.522
H 0.089 -3.159 2.170
H 1.415 -2.108 2.697
H 1.618 -1.922 0.456
H 0.649 -3.296 -0.001
C -2.497 -0.161 3.032
C -2.886 -0.969 1.811
O -3.910 -1.910 2.206
S -3.795 -2.279 3.849
O -2.812 -3.318 4.160
O -5.107 -2.288 4.468
O -3.091 -0.832 4.157
H -2.791 0.882 2.911
H -1.428 -0.190 3.242
H -2.013 -1.560 1.536
H -3.170 -0.441 0.901
C -4.064 0.789 -1.845
C -2.532 0.716 -2.292
O -2.272 1.494 -3.462
S -3.618 2.414 -3.890
O -4.107 2.252 -5.274
O -3.517 3.731 -3.244
O -4.625 1.495 -2.973
H -4.230 1.272 -0.882
H -4.602 -0.159 -1.847
H -2.207 -0.305 -2.491
H -1.869 1.044 -1.491
C 1.165 -1.537 -3.124
C 1.544 -0.142 -3.249
O 1.330 0.247 -4.556
S 1.818 -0.973 -5.628
O 3.308 -1.030 -5.588
O 1.091 -1.032 -6.881
O 1.141 -1.969 -4.530
H 0.162 -1.519 -2.698
H 1.703 -2.077 -2.345
~~~
One Time Passwords
### Here the text breaks off for quantum chemistry results
/*
Formula: C10H11NO3S
Source: the Open Molecules 2025 dataset
Level of theory: ωB97M-V/def2-TZVPD

CARTESIAN COORDINATES (ANGSTROEM)
C 2.1647 0.9843 0.1673
C 2.4150 -1.3851 -0.0781
C 0.9188 0.7417 0.7256
C 1.1971 -1.6012 0.5574
C 2.9595 -0.1319 -0.2718
C 0.4036 -0.5127 0.9819
C -2.8636 0.2726 -0.8292
C -2.5745 1.8074 1.6475
C 4.3033 -0.0085 -0.9592
C -4.0746 -0.6904 -0.7105
N -2.6725 2.8210 1.0923
O -2.8846 1.3201 -1.4175
O -1.7363 -0.1052 -0.2070
O -1.5773 -2.1968 1.1351
S -1.3981 -0.8024 1.3139
H 2.5360 1.9839 0.0619
H 3.0145 -2.2328 -0.3018
H 0.2853 1.5215 1.0371
H 1.1482 -2.6121 0.9394
H 5.2386 -0.4286 -0.5665
H 4.3142 -0.4917 -1.9997
H 4.6279 1.0083 -1.0158
H -4.5529 -0.5994 0.3843
H -4.8595 -0.3915 -1.4086
H -3.7969 -1.7812 -0.7555
H -2.5356 3.5107 0.4773

The charge is 0. The calculation puts the largest force on an atom at 0.076 hartree/bohr. Its LUMO energy is 0.014 Eh. The orbital gap is 9.700 eV. The energy above the lowest of the compared OMol25 structures with the same formula, charge and spin is 104.3 kcal per mole.

* * * * *

--- w ---
Entry from the OMol25 dataset: 4 unconnected molecules or ions with the total composition H8O4 (wB97M-V/def2-TZVPD).

E_HOMO (eV): -10.960
Total charge: 0
SMILES string: O.O.O.O
Gap between HOMO and LUMO (eV): 11.1

Last column: Mulliken charge in e.
Cartesian coordinates (Å):
O -3.00 -0.81 -0.80  -0.651
H -2.94 -1.13 -1.70  0.301
H -2.26 -1.23 -0.34  0.355
O 2.25 1.67 1.78  -0.645
H 1.81 1.58 0.93  0.354
H 1.54 1.78 2.42  0.319
O -0.47 -1.52 0.50  -0.682
H -0.08 -0.66 0.27  0.421
H 0.23 -2.17 0.40  0.295
O 0.90 0.77 -0.77  -0.732
H 0.46 1.39 -1.37  0.332
H 1.57 0.33 -1.31  0.333

***

--- x ---
Entry from the OMol25 dataset: 4 unconnected molecules or ions with the total composition H8O4 (wB97M-V/def2-TZVPD).

E_HOMO (eV): -11.269
Total charge: 0
SMILES string: O.O.O.O
Gap between HOMO and LUMO (eV): 11.5

Last column: Mulliken charge in e.
Cartesian coordinates (Å):
O 11.69 -20.69 14.98  -0.705
H 11.08 -21.08 14.38  0.416
H 12.30 -21.41 15.17  0.298
O 12.32 -19.06 12.79  -0.637
H 12.27 -19.26 13.76  0.374
H 11.39 -19.05 12.66  0.270
O 9.68 -21.67 13.26  -0.710
H 9.79 -21.46 12.33  0.331
H 9.18 -20.98 13.66  0.337
O 9.81 -19.35 16.51  -0.642
H 10.61 -19.72 16.15  0.366
H 9.83 -18.59 15.92  0.302

***

Q: Which of them is the most stable? A: w.

***

--- w ---
Entry from the OMol25 dataset: a molecular structure, H8O4 (wB97M-V/def2-TZVPD).

E_HOMO (eV): -9.172
Total charge: 0
Gap between HOMO and LUMO (eV): 8.8

Last column: Mulliken charge in e.
Cartesian coordinates (Å):
O -15.12 -21.38 -16.46  -0.788
H -14.30 -20.89 -16.55  0.459
H -15.28 -21.39 -15.51  0.270
O -12.66 -19.31 -14.00  -0.655
H -12.12 -19.39 -13.21  0.277
H -12.02 -19.16 -14.71  0.350
O -11.64 -18.97 -15.95  -0.612
H -10.82 -18.78 -15.50  0.364
H -11.61 -18.43 -16.75  0.278
O -13.50 -20.01 -16.42  -0.670
H -12.62 -19.65 -16.28  0.510
H -14.07 -19.24 -16.46  0.217

***

--- x ---
*/
Security is undoubtedly the major issue when it comes to dealing with account information and the transfer of passwords. SMS messaging provides your customers’ data with the right degree of protection, while at the same time accelerating the entire process of retrieving time-restricted passwords and acquiring access to accounts, no matter where the clients may be. The immediacy and flexibility of this method will guarantee customer satisfaction. As always, the mobile way of dealing with this kind of data transfer is efficient regarding both cost and time.
Introducing SMS messaging in the sphere of machine to machine communication can help to increase the smoothness of monitoring processes in any of your business areas. No matter whether you are searching for a new way of dealing with device control, remote monitoring, supply alerts, data backups, or wake up calls, mobile messaging is apt to improve your reaction time and performance in every of these and many more fields, as you are the immediate recipient of the information in the very same instant that the respective event takes place. In this way, you can initiate the right response from wherever you are and benefit from this method’s flexibility.
Below is a 9-piece molecular cluster, C36H71NO16 overall, with properties calculated with ωB97M-V/def2-TZVPD.

```
124
Properties=species:S:1:pos:R:3:forces:R:3
C 5.603612 -0.027135 -1.224113 -2.1913 -0.4009 -1.7138
C 6.017904 0.313245 -2.684838 1.1148 -1.4512 0.9283
O 5.400932 -0.708070 -3.613265 -0.2799 1.2555 2.3825
C 5.538870 -0.506497 -4.912276 -0.2469 -0.8811 -0.2070
C 4.752954 -1.487404 -5.720995 -0.5030 -1.3914 0.4013
O 6.209670 0.351761 -5.375476 1.0047 1.5211 -0.8014
H 4.529377 0.211914 -1.092849 0.4230 0.3046 -0.0123
H 6.135421 0.494399 -0.441856 0.5057 -0.1123 -0.1037
H 5.535343 -1.109392 -1.123284 0.8288 0.0495 0.3610
H 5.802864 1.363762 -2.885845 -0.2385 -0.3757 -0.7332
H 7.109150 0.128335 -2.751112 -0.5637 0.4102 -0.2912
H 5.275222 -1.909478 -6.573281 0.2578 0.6220 -0.2381
H 3.818153 -1.029938 -6.025517 -0.0062 0.1094 -0.2006
H 4.484516 -2.375678 -5.136296 -0.0344 0.3367 0.2039
C 2.511451 1.443127 -6.025673 1.0059 0.8946 -0.9838
C 1.011974 1.490870 -6.034778 -0.6297 -1.4262 -0.2584
O 0.403214 2.234459 -4.982426 -0.2603 -1.3736 0.1002
C 0.645777 3.515385 -4.961960 -0.4896 1.0608 1.0652
C -0.138485 4.189637 -3.889427 -1.3187 0.1136 0.7622
O 1.367415 4.064536 -5.728097 0.9246 0.9990 -1.1297
H 2.894381 0.746246 -6.776209 -0.3448 -0.3927 0.2444
H 2.994196 1.252763 -5.069237 -0.2901 -0.1686 0.1497
H 2.918869 2.384060 -6.416556 -0.1628 -0.0330 0.4532
H 0.616765 1.787556 -7.011758 0.1924 0.4537 0.1723
H 0.571784 0.502293 -5.870219 0.2819 -0.0509 0.0056
H -0.367540 3.537606 -3.040739 0.3371 -0.1007 -0.1597
H -1.138303 4.434292 -4.283307 0.3215 -0.0041 -0.1505
H 0.278065 5.113261 -3.511632 0.3933 0.0861 -0.2321
C -2.288499 1.130228 5.095875 -1.0415 -0.2770 -0.2418
C -1.976665 2.131381 4.042931 1.4915 0.5359 -0.4428
O -2.066848 3.504351 4.573619 -0.7724 -3.1179 1.7291
C -1.963589 4.450524 3.721334 -0.3454 2.2108 -0.5806
C -2.389167 5.782886 4.315016 -0.2441 -0.2380 -0.1616
O -1.613256 4.287479 2.588406 0.3992 0.0470 -1.3528
H -1.880262 1.336974 6.074153 0.2410 0.0685 0.1505
H -1.943380 0.173296 4.706754 0.0773 -0.1261 0.2239
H -3.378255 1.060627 5.149097 0.0415 -0.1135 0.4617
H -0.940035 1.982167 3.686572 -0.6942 0.3009 0.1634
H -2.614253 1.957916 3.170466 0.0152 0.7003 0.3804
H -2.860615 5.637996 5.283965 0.2969 0.0448 0.1254
H -3.147032 6.223513 3.670107 0.1340 0.0372 -0.2200
H -1.542904 6.459430 4.365059 0.0661 0.0910 0.0820
C -5.374844 0.799674 1.847372 -0.5248 0.2647 1.3828
C -5.122449 -0.666233 2.138455 -0.1380 0.2042 -1.8706
O -6.333349 -1.447168 1.875238 0.3195 -0.2236 1.1008
C -6.494872 -2.008845 0.687101 -0.4759 0.7359 -1.3214
C -7.719155 -2.901366 0.608597 -0.3194 0.6509 1.4324
O -5.828170 -1.708902 -0.277063 0.2234 -0.4666 0.1486
H -5.622261 0.980275 0.807917 -0.0188 -0.0939 -0.1460
H -4.498579 1.383292 2.134854 0.1016 -0.1039 -0.2266
H -6.186014 1.169348 2.493136 0.0174 -0.0237 -0.3303
H -4.353315 -0.937611 1.409715 -0.0200 -0.5722 0.4598
H -4.835766 -0.900407 3.151113 0.0451 0.0437 0.2117
Flexibility, immediacy, and efficiency are the core advantages of text messaging in business. This method’s approach to customer communication can help you to build up an international base of clients, as well as improve internal business communication transcending hierarchies. Text messaging is an exciting way of increasing your company’s efficiency while being on the cutting edge of popular communications technology use in business.